-- Work order --
It remains to retype the whole of the calculation results further below verbatim.

-- Contents --
-- begin --
# 1
C4H10N2 | the ωB97M-V functional and the def2-TZVPD basis

Last column: Mulliken charge in e.
Element x y z (Å)
C1 -0.965 -2.742 -1.313  -0.26
N1 -0.965 -1.554 -0.874  -0.28
C2 -1.496 -0.532 -1.733  -0.67
H1 -0.813 -3.604 -0.669  0.25
H2 -1.338 -2.894 -2.316  0.22
H3 -0.963 0.415 -1.552  0.13
H4 -1.394 -0.756 -2.797  0.31
H5 -2.561 -0.312 -1.629  0.29
C3 1.805 0.447 2.308  -0.35
N2 0.953 0.970 1.535  -0.24
C4 0.937 2.327 1.025  -0.67
H6 2.058 -0.584 2.077  0.24
H7 2.118 0.796 3.304  0.24
H8 0.210 2.428 0.210  0.19
H9 0.488 3.010 1.754  0.32
H10 1.927 2.583 0.672  0.28

Forces on atoms 1 to 2 (eV/Å):
C -0.9 1.0 0.2
N -0.4 -0.9 0.8

Output
Charge   0
HOMO level   -8.265 eV
Energy relative to the best compared isomer or geometry (same formula, charge and spin)   3.539 eV
Spin multiplicity   1
Electronic energy   -267.795290 Eh
SMILES string   C=NC.C=NC

# 2
C4H10N2 | the ωB97M-V functional and the def2-TZVPD basis

Last column: Mulliken charge in e.
Element x y z (Å)
C1 -1.528 1.614 -0.788  -0.80
C2 0.043 0.265 1.433  -1.15
N1 -0.405 0.700 -0.975  -0.39
C3 -0.001 -0.103 -0.015  0.56
N2 1.860 -1.839 -0.129  -0.56
C4 0.725 -1.174 -0.700  -0.60
H1 0.525 -0.199 -1.704  0.41
H2 2.344 -1.311 0.589  0.24
H3 1.731 -2.754 0.292  0.23
H4 0.045 -1.856 -1.211  0.30
H5 -2.487 1.088 -0.736  0.27
H6 -1.575 2.304 -1.631  0.29
H7 -1.419 2.195 0.133  0.26
H8 0.220 1.331 1.599  0.35
H9 -0.916 0.015 1.898  0.29
H10 0.838 -0.276 1.947  0.31

Forces on atoms 1 to 2 (eV/Å):
C 0.2 0.0 0.2
C -0.7 -0.3 0.2

Output
Charge   0
HOMO level   -7.687 eV
Energy relative to the best compared isomer or geometry (same formula, charge and spin)   3.470 eV
Spin multiplicity   1
Electronic energy   -267.797818 Eh

# 3
C4H10N2 | the ωB97M-V functional and the def2-TZVPD basis

Last column: Mulliken charge in e.
Element x y z (Å)
C1 0.505 -2.510 0.049  -0.68
C2 1.725 -2.256 -0.406  0.09
N1 2.375 -1.005 -0.349  -0.53
H1 -0.114 -1.707 0.425  0.14
H2 0.164 -3.528 0.001  0.24
H3 2.424 -3.065 -0.588  0.30
H4 1.861 -0.343 0.219  0.21
H5 2.606 -0.566 -1.228  0.25
C3 -1.419 2.035 -0.937  -0.79
C4 -1.117 1.566 0.273  0.14
N2 -1.633 2.054 1.491  -0.52
H6 -2.034 2.909 -1.061  0.24
H7 -1.024 1.541 -1.810  0.25
H8 -0.168 1.067 0.391  0.20
H9 -2.536 2.475 1.337  0.23
H10 -1.615 1.332 2.192  0.23

Forces on atoms 1 to 2 (eV/Å):
C 0.4 0.1 -0.3
C 0.6 0.2 0.6

Output
Charge   0
HOMO level   -8.498 eV
Energy relative to the best compared isomer or geometry (same formula, charge and spin)   2.086 eV
Spin multiplicity   1
Electronic energy   -267.848684 Eh
SMILES string   C=CN.C=CN

# 4
C4H10N2 | the ωB97M-V functional and the def2-TZVPD basis

Last column: Mulliken charge in e.
Element x y z (Å)
H1 -0.195 -0.955 2.701  0.20
N1 -0.806 -0.944 1.894  -0.72
C1 -0.342 -0.235 0.939  0.49
C2 -1.129 -0.163 -0.349  -0.50
C3 -0.652 -1.162 -1.432  -1.00
N2 0.922 0.355 0.931  -0.21
C4 1.309 1.439 0.043  -0.82
H2 -1.104 0.870 -0.773  0.31
H3 -2.154 -0.410 -0.084  0.30
H4 0.375 -0.898 -1.722  0.24
H5 -0.605 -2.185 -1.030  0.33
H6 -1.298 -1.110 -2.334  0.31
H7 1.444 0.295 1.808  0.23
H8 0.727 2.340 0.271  0.28
H9 1.137 1.125 -0.989  0.23
H10 2.370 1.639 0.127  0.32

Forces on atoms 1 to 2 (eV/Å):
H 0.2 0.0 0.2
N -0.3 0.2 -0.3

Output
Charge   0
HOMO level   -8.820 eV
Energy relative to the best compared isomer or geometry (same formula, charge and spin)   0.433 eV
Spin multiplicity   1
Electronic energy   -267.909413 Eh
SMILES string   [H]/N=C(/CC)NC

# 5
C4H10N2 | the ωB97M-V functional and the def2-TZVPD basis

Last column: Mulliken charge in e.
Element x y z (Å)
H1 -2.192 -2.621 1.804  0.25
N1 -1.451 -1.930 1.787  -0.69
C1 -1.041 -1.796 0.580  0.07
N2 0.272 -1.627 0.239  -0.50
H2 -1.829 -1.942 -0.162  0.39
H3 0.738 -2.301 -0.340  0.22
H4 0.812 -1.370 1.055  0.27
C2 1.990 1.727 -0.992  -0.76
C3 0.789 1.568 -0.445  0.09
C4 -0.483 2.108 -1.019  -1.03
H5 2.926 1.399 -0.555  0.28
H6 2.066 1.793 -2.077  0.24
H7 0.788 1.265 0.598  0.33
H8 -0.996 2.636 -0.217  0.27
H9 -0.416 2.808 -1.853  0.34
-- stop --

-- Completed --
# 1
C4H10N2 | the ωB97M-V functional and the def2-TZVPD basis

Last column: Mulliken charge in e.
Element x y z (Å)
C1 -0.965 -2.742 -1.313  -0.26
N1 -0.965 -1.554 -0.874  -0.28
C2 -1.496 -0.532 -1.733  -0.67
H1 -0.813 -3.604 -0.669  0.25
H2 -1.338 -2.894 -2.316  0.22
H3 -0.963 0.415 -1.552  0.13
H4 -1.394 -0.756 -2.797  0.31
H5 -2.561 -0.312 -1.629  0.29
C3 1.805 0.447 2.308  -0.35
N2 0.953 0.970 1.535  -0.24
C4 0.937 2.327 1.025  -0.67
H6 2.058 -0.584 2.077  0.24
H7 2.118 0.796 3.304  0.24
H8 0.210 2.428 0.210  0.19
H9 0.488 3.010 1.754  0.32
H10 1.927 2.583 0.672  0.28

Forces on atoms 1 to 2 (eV/Å):
C -0.9 1.0 0.2
N -0.4 -0.9 0.8

Output
Charge   0
HOMO level   -8.265 eV
Energy relative to the best compared isomer or geometry (same formula, charge and spin)   3.539 eV
Spin multiplicity   1
Electronic energy   -267.795290 Eh
SMILES string   C=NC.C=NC

# 2
C4H10N2 | the ωB97M-V functional and the def2-TZVPD basis

Last column: Mulliken charge in e.
Element x y z (Å)
C1 -1.528 1.614 -0.788  -0.80
C2 0.043 0.265 1.433  -1.15
N1 -0.405 0.700 -0.975  -0.39
C3 -0.001 -0.103 -0.015  0.56
N2 1.860 -1.839 -0.129  -0.56
C4 0.725 -1.174 -0.700  -0.60
H1 0.525 -0.199 -1.704  0.41
H2 2.344 -1.311 0.589  0.24
H3 1.731 -2.754 0.292  0.23
H4 0.045 -1.856 -1.211  0.30
H5 -2.487 1.088 -0.736  0.27
H6 -1.575 2.304 -1.631  0.29
H7 -1.419 2.195 0.133  0.26
H8 0.220 1.331 1.599  0.35
H9 -0.916 0.015 1.898  0.29
H10 0.838 -0.276 1.947  0.31

Forces on atoms 1 to 2 (eV/Å):
C 0.2 0.0 0.2
C -0.7 -0.3 0.2

Output
Charge   0
HOMO level   -7.687 eV
Energy relative to the best compared isomer or geometry (same formula, charge and spin)   3.470 eV
Spin multiplicity   1
Electronic energy   -267.797818 Eh

# 3
C4H10N2 | the ωB97M-V functional and the def2-TZVPD basis

Last column: Mulliken charge in e.
Element x y z (Å)
C1 0.505 -2.510 0.049  -0.68
C2 1.725 -2.256 -0.406  0.09
N1 2.375 -1.005 -0.349  -0.53
H1 -0.114 -1.707 0.425  0.14
H2 0.164 -3.528 0.001  0.24
H3 2.424 -3.065 -0.588  0.30
H4 1.861 -0.343 0.219  0.21
H5 2.606 -0.566 -1.228  0.25
C3 -1.419 2.035 -0.937  -0.79
C4 -1.117 1.566 0.273  0.14
N2 -1.633 2.054 1.491  -0.52
H6 -2.034 2.909 -1.061  0.24
H7 -1.024 1.541 -1.810  0.25
H8 -0.168 1.067 0.391  0.20
H9 -2.536 2.475 1.337  0.23
H10 -1.615 1.332 2.192  0.23

Forces on atoms 1 to 2 (eV/Å):
C 0.4 0.1 -0.3
C 0.6 0.2 0.6

Output
Charge   0
HOMO level   -8.498 eV
Energy relative to the best compared isomer or geometry (same formula, charge and spin)   2.086 eV
Spin multiplicity   1
Electronic energy   -267.848684 Eh
SMILES string   C=CN.C=CN

# 4
C4H10N2 | the ωB97M-V functional and the def2-TZVPD basis

Last column: Mulliken charge in e.
Element x y z (Å)
H1 -0.195 -0.955 2.701  0.20
N1 -0.806 -0.944 1.894  -0.72
C1 -0.342 -0.235 0.939  0.49
C2 -1.129 -0.163 -0.349  -0.50
C3 -0.652 -1.162 -1.432  -1.00
N2 0.922 0.355 0.931  -0.21
C4 1.309 1.439 0.043  -0.82
H2 -1.104 0.870 -0.773  0.31
H3 -2.154 -0.410 -0.084  0.30
H4 0.375 -0.898 -1.722  0.24
H5 -0.605 -2.185 -1.030  0.33
H6 -1.298 -1.110 -2.334  0.31
H7 1.444 0.295 1.808  0.23
H8 0.727 2.340 0.271  0.28
H9 1.137 1.125 -0.989  0.23
H10 2.370 1.639 0.127  0.32

Forces on atoms 1 to 2 (eV/Å):
H 0.2 0.0 0.2
N -0.3 0.2 -0.3

Output
Charge   0
HOMO level   -8.820 eV
Energy relative to the best compared isomer or geometry (same formula, charge and spin)   0.433 eV
Spin multiplicity   1
Electronic energy   -267.909413 Eh
SMILES string   [H]/N=C(/CC)NC

# 5
C4H10N2 | the ωB97M-V functional and the def2-TZVPD basis

Last column: Mulliken charge in e.
Element x y z (Å)
H1 -2.192 -2.621 1.804  0.25
N1 -1.451 -1.930 1.787  -0.69
C1 -1.041 -1.796 0.580  0.07
N2 0.272 -1.627 0.239  -0.50
H2 -1.829 -1.942 -0.162  0.39
H3 0.738 -2.301 -0.340  0.22
H4 0.812 -1.370 1.055  0.27
C2 1.990 1.727 -0.992  -0.76
C3 0.789 1.568 -0.445  0.09
C4 -0.483 2.108 -1.019  -1.03
H5 2.926 1.399 -0.555  0.28
H6 2.066 1.793 -2.077  0.24
H7 0.788 1.265 0.598  0.33
H8 -0.996 2.636 -0.217  0.27
H9 -0.416 2.808 -1.853  0.34